If they really are the victors………………..

then why are they trolling like jilted, psychotic ex boyfriends?

It’s not just my blog that has had to turn the comments mod on because of trolls and stalkers. Uppity had to turn off her chat function because the TrollBots decided it was a good place to drop perverted and gross comments. MyDD has been invaded. Anglachel had to turn on comment mods. So did BlueLyon- though that’s because of my resident TrollBot stalker. The only reason they haven’t actually taken over at Shakes is cause Liss and the genuine non-trolly Obama supporters over there won’t tolerate it.

This is not the behavior of people who have won, is it? I have seen this kinda of thing before though, from exes who were very unhappy about being exes. Actually, I’ve seen this kind of thing from a vary particular ex who required both a restraining order (from a civil court) and a no contact order (from a criminal court) and actual jail time to stop fucking with me. This is the behavior of disappointed psychos. And I’m not sure what they are disappointed about but I think Anglachel nails it.

_What comes next are calculated molecules, not part of the entry_
- - -
(1)
Below is an isolated molecule of C6H8S2, with properties calculated with ωB97M-V/def2-TZVPD.

Summary:
- SMILES string: S=C1[C@H]2CC[C@]1(S)C2
- HOMO-LUMO gap: 8.634 eV
- E_tot: -28018.960 eV
- Energy above the lowest of the compared OMol25 structures with the same formula, charge and spin: 3.083 eV
- Total charge: 0

Positions of all 16 atoms, in Å:
H -0.62 0.40 -2.14
C 0.74 -0.10 -0.40
C -1.51 0.62 -0.05
H -1.21 -0.13 2.11
C 0.68 0.61 0.94
H -2.37 -0.06 -0.39
S 1.69 1.37 1.88
H -1.84 1.59 0.36
C -0.28 0.70 -1.07
C -0.69 -0.14 1.08
S 2.20 -0.47 -1.24
C -0.04 -1.17 0.19
H 2.80 -1.35 -0.08
H 0.77 -1.77 0.77
H 0.13 1.78 -1.32
H -0.44 -1.89 -0.63

(2)
Below is a cluster of 9 separate species, C5H26NO10 in total, with properties calculated with ωB97M-V/def2-TZVPD.

Summary:
- HOMO-LUMO gap: 8.545 eV
- E_tot: -27571.850 eV
- Energy above the lowest of the compared OMol25 structures with the same formula, charge and spin: 4.497 eV
- Total charge: -1

Positions of all 42 atoms, in Å:
O 1.77 -0.38 -1.28
H 2.19 -1.70 -0.37
H -0.75 1.91 -2.55
H -0.18 -3.36 -2.01
H 2.29 1.66 0.48
H -1.16 3.21 0.74
H 2.54 2.39 -1.81
H 1.59 -2.22 2.21
H 2.86 0.87 -1.57
C -0.33 -2.53 -1.30
H -2.77 0.83 -0.57
H 1.15 0.57 0.39
O 3.22 1.76 -1.32
O -0.59 2.91 1.51
C -0.39 -1.13 -1.86
H -1.30 -2.71 -0.71
O -2.63 -1.97 0.95
H 0.16 2.50 1.09
O 1.52 1.40 3.42
H -2.79 0.50 -2.35
H -0.95 -1.37 -2.82
C -2.11 0.73 -1.43
C -1.42 2.02 -1.73
O 0.74 0.34 -3.21
N -1.13 -0.20 -0.95
H -1.61 0.13 2.00
H -0.67 0.30 -0.26
H -2.14 2.85 -1.98
H -3.29 -1.31 0.66
H 1.80 0.59 3.62
O 1.01 -2.24 2.92
H 1.51 1.60 2.63
C 0.89 -0.39 -2.17
O 2.08 -2.27 0.51
H 2.69 -2.85 0.31
O 1.36 1.39 0.78
H -1.17 0.54 3.55
H -0.77 2.30 -0.80
H 0.50 -2.67 -0.61
H -1.91 -2.07 0.32
O -1.89 0.43 2.91
H 0.08 -2.36 2.64

(3)
Below is a cluster of 4 separate species, C28H42NO19PS3 in total, with properties calculated with ωB97M-V/def2-TZVPD.

Summary:
- SMILES string: CCOP(=O)(CCc1cc(CCC(C)C)c2c(c1)C(=O)C=C(CON=O)C2=O)OCC.O=S1(=O)OCCO1.O=S1(=O)OCCO1.O=S1(=O)OCCO1
- HOMO-LUMO gap: 8.620 eV
- E_tot: -111901.187 eV
- Total charge: 0

Positions of all 94 atoms, in Å:
O 9.17 -0.55 2.23
C 9.17 -3.39 4.24
H 2.24 -2.35 -1.50
C 1.20 -3.48 -3.07
O -12.33 0.11 4.07
C 7.58 -1.61 -1.14
O -8.32 2.90 2.11
C -4.22 0.98 -0.54
H 3.48 0.60 -3.80
C -2.11 2.21 0.02
H 10.96 -3.11 3.04
H -4.56 0.05 -0.09
C -0.19 -3.10 -2.52
H 6.29 0.56 1.15
C 1.22 -4.93 -3.59
H 9.77 -3.43 5.15
H 5.01 2.36 -2.73
C -10.78 1.00 5.57
H -9.75 0.98 5.90
H 10.14 -4.66 2.75
H 2.90 2.25 -3.86
C 1.83 1.01 -2.53
C -1.92 -0.09 -0.80
H 6.86 -1.58 -0.32
C 1.17 -0.13 -2.98
H 1.33 -5.62 -2.75
C -8.68 3.45 -0.12
H 6.24 2.81 0.24
H -0.90 -3.88 -2.79
C 1.25 1.76 -1.51
O -13.33 2.35 4.03
H 8.25 0.10 -2.29
O -3.95 1.74 -3.76
H -10.43 -0.67 4.23
S -6.92 3.49 1.64
C -2.74 1.11 -0.41
C 2.28 -3.32 -1.99
H 8.34 -4.09 4.31
H -0.67 -1.70 -4.12
O 0.01 2.81 0.91
H -8.57 2.47 -0.59
H -1.81 -1.73 -2.80
O -11.73 1.69 2.27
H 3.78 2.51 -1.45
C 10.00 -3.61 2.98
C 5.46 2.55 0.95
C -0.62 2.20 0.07
- - -
_Here the entry continues_

The fact that you continue to squall and fuss about Teh Rulz indicates that you know very well that the circumstances of his nomination are artificial. You need to accept that there is a big, fat asterisk next to Obama’s name in the history books

Ah hah. Legitimacy. Obama doesn’t really have it, what with losing the popular vote and finagling the delegate votes for Florida and Michigan. It’s as important in politics as masculine honor is to stalker ex boyfriends.

Both legitimacy and masculine honor are matters of external perception, or how other people see you instead of how you see yourself.

Legitimacy is vital to politics. Being viewed as illegitimate will at best make you ineffectual (Bush) and at worst inspire revolution. With all the legitimacy problems in Florida the last 8 years, I am surprised the entire state hasn’t started it’s own irredentism movement yet.

Masculine honor is the thing that drives those creepy ex boyfriends. While the girl is under their control, their honor is intact. But once she leaves, he needs to find a way to retrieve it, and unlike dignity, honor doesn’t come from inside. If the girl came crawling back to him, begging for forgiveness for not seeing how wrong she was for leaving him, then his honor is returned. You may have noticed this same kind of behavior from the Trollbots, with their “Hillary supporters better beg forgiveness and prove they are real Dems” comments. Rather than act like rational human beings with dignity and walk away, they have to keep pushing and pushing trying to get their honor back. But the more they push the less honorable they are. Horrible catch 22 for them really. Eventually they will either realize the futility (right, cause crazy ex boyfriends do that alllllllllll the time)or they will explode with obsessive violence, or they will find a new victim.

But this all hinges on the original legitimacy problem. For stalker boyfriends, lack of self esteem makes them control freaks. Since they don’t believe they are really worthy of the girl they will eventually stalk, they try all measures of ways to keep her from leaving. Again with the catch 22 stuff, any healthy girl will buck under a control freak and leave.

So back to politics. The Obama camp, knowing that it can’t win in a fair election, sets up measures to control the outcome. Voters in FL and MI along with 18 million Hillary supporters buck at the control measures. Obama gets the nomination but loses the girl (or in this case, MI, FL, and 18 million Hillary voters).

So now that legitimacy and the girl are gone, the TrollBots are doing everything they can to get back their honor. Threats, harassment, obsessive trolling, occasional moments of clarity where they try to act nice only to blow up the second a problem with the legitimacy of the campaign is mentioned. Mostly they act like assholes in the hope that eventually they will wear us down so we will give them what they want. Legitimacy and their manhood back.

And the more they use these measures, the more entrenched we girls become in our decision to leave. And so they push harder, troll more, threaten more. And we become more entrenched.

And lemme tell you- I lived through YEARS of being stalked and harassed and threatened already. I know I can tough it out and last longer than these yahoos. Do I like it, no. Is it an ideal way to live, no. Can I handle it- OH HELL YES. And I suspect there are a large number of Hillary voters who feel the same way.